## Listing
- - -
Structure and theoretical powder diffractogram of Nb3CuO8 (a cell relaxed with PBE; copper Kα).

The 8 most intense peaks (2θ = 10–90°), sorted by position:
d/Å	intensity	(hkl)
3.752	24	2 0 -2
3.717	25	0 0 4
3.022	100	2 1 -2
3.004	97	0 1 4
2.558	29	2 1 2
2.551	25	0 2 0
1.751	32	2 2 -6
1.486	24	4 2 0

a b c (Å): 7.662 5.101 15.563
angles (deg): 90.00 107.17 90.00
Fractional coordinates of all 48 atoms:
1 Nb 0.008 0.235 0.167
2 Nb 0.008 0.265 0.667
3 Nb 0.251 0.746 0.076
4 Nb 0.251 0.754 0.576
5 Nb 0.483 0.740 0.335
6 Nb 0.483 0.760 0.835
7 Nb 0.517 0.240 0.165
8 Nb 0.517 0.260 0.665
9 Nb 0.749 0.246 0.424
10 Nb 0.749 0.254 0.924
11 Nb 0.992 0.735 0.333
12 Nb 0.992 0.765 0.833
13 Cu 0.266 0.242 0.422
14 Cu 0.266 0.258 0.922
15 Cu 0.734 0.742 0.078
16 Cu 0.734 0.758 0.578
17 O 0.042 0.575 0.600
18 O 0.042 0.925 0.100
19 O 0.084 0.069 0.281
20 O 0.084 0.431 0.781
21 O 0.152 0.600 0.961
22 O 0.152 0.900 0.461
23 O 0.220 0.080 0.655
24 O 0.220 0.420 0.155
25 O 0.266 0.598 0.347
26 O 0.266 0.902 0.847
27 O 0.352 0.072 0.048
28 O 0.352 0.428 0.548
29 O 0.416 0.585 0.716
30 O 0.416 0.915 0.216
31 O 0.497 0.067 0.401
32 O 0.497 0.433 0.901
33 O 0.503 0.567 0.099
34 O 0.503 0.933 0.599
35 O 0.584 0.085 0.784
36 O 0.584 0.415 0.284
37 O 0.648 0.572 0.452
38 O 0.648 0.928 0.952
39 O 0.734 0.098 0.153
40 O 0.734 0.402 0.653
41 O 0.780 0.580 0.845
42 O 0.780 0.920 0.345
43 O 0.848 0.100 0.539
44 O 0.848 0.400 0.039
45 O 0.916 0.569 0.219
46 O 0.916 0.931 0.719
47 O 0.958 0.075 0.900
48 O 0.958 0.425 0.400

=====

# 1
For LaCo5, a DFT-relaxed cell (PBE, the Materials Project) gives the simulated X-ray diffraction stick pattern in this record (λ = 1.5418 Å (Cu Kα)).
Peak positions follow from Bragg's law for the DFT cell and can differ from measured ones.

The 10 most intense peaks (10 to 80 degrees two-theta), by angle:
- 30.50°, I 69.6
- 35.63°, I 31.1
- 41.20°, I 39.9
- 41.47°, I 16.3
- 42.36°, I 48.1
- 42.56°, I 100.0
- 45.95°, I 38.0
- 63.40°, I 20.5
- 68.48°, I 20.0
- 75.44°, I 20.3

Structure:
```
LaCo5
1.0
2.5355 -4.3547 0.0000
2.5355 4.3547 0.0000
0.0000 0.0000 7.9006
La Co
2 10
direct
0.0000 0.0000 0.0000
0.0000 0.0000 0.5000
0.0000 0.5000 0.2603
0.0000 0.5000 0.7397
0.3055 0.6292 0.0000
0.3708 0.6945 0.5000
0.5000 0.0000 0.2397
0.5000 0.0000 0.7603
0.5000 0.5000 0.2500
0.5000 0.5000 0.7500
0.6292 0.3055 0.5000
0.6945 0.3708 0.0000
```

=====

# 2
For GaS, a DFT-relaxed cell (PBE, the Materials Project) gives the simulated X-ray diffraction stick pattern in this record (λ = 1.5418 Å (Cu Kα)).
Peak positions follow from Bragg's law for the DFT cell and can differ from measured ones.

The 10 most intense peaks (10 to 80 degrees two-theta), by angle:
- 10.15°, I 100.0
- 20.39°, I 30.0
- 28.42°, I 45.0
- 28.88°, I 42.3
- 30.25°, I 12.1
- 30.79°, I 12.9
- 32.40°, I 31.9
- 46.55°, I 61.7
- 50.32°, I 34.1
- 70.96°, I 16.6

Structure:
```
GaS
1.0
3.6269 0.0000 0.0000
-1.8135 3.1410 0.0000
0.0000 0.0000 17.4253
Ga S
4 4
direct
0.3333 0.6667 0.1791
0.3333 0.6667 0.3209
0.6667 0.3333 0.6791
0.6667 0.3333 0.8209
0.3333 0.6667 0.6168
0.3333 0.6667 0.8832
0.6667 0.3333 0.1168
0.6667 0.3333 0.3832
```

=====

Q: Number 1 is which compound?
A: LaCo5

=====

Starting from the GGA-PBE geometry in the Materials Project, the powder diffraction line list of Al2FeN3 was calculated for λ = 1.5418 Å (Cu Kα).
Intensities are scaled so that the largest is 100.

Structural model:
abc: 5.493 5.493 5.090
angles: 90.00 90.00 60.04
Fractional positions:
Al (0.003, 0.332, 0.000)
Al (0.332, 0.003, 0.500)
Al (0.668, 0.997, 0.000)
Al (0.997, 0.668, 0.500)
Fe (0.331, 0.669, 0.005)
Fe (0.669, 0.331, 0.505)
N (0.012, 0.334, 0.625)
N (0.319, 0.681, 0.610)
N (0.334, 0.012, 0.125)
N (0.666, 0.988, 0.625)
N (0.681, 0.319, 0.110)
N (0.988, 0.666, 0.125)

Top 6 peaks for 2θ from 5° to 70°, sorted by position:
2θ/deg, I (rel.)
32.60, 75
35.27, 51
37.19, 100
58.17, 46
64.56, 42
69.89, 35

=====

[1]
- - -

## Assignment
The reader should give back the lines further up from the one with "0.958 0.075" to the one with "35.27, 51" unchanged.

## Worked solution
47 O 0.958 0.075 0.900
48 O 0.958 0.425 0.400

=====

# 1
For LaCo5, a DFT-relaxed cell (PBE, the Materials Project) gives the simulated X-ray diffraction stick pattern in this record (λ = 1.5418 Å (Cu Kα)).
Peak positions follow from Bragg's law for the DFT cell and can differ from measured ones.

The 10 most intense peaks (10 to 80 degrees two-theta), by angle:
- 30.50°, I 69.6
- 35.63°, I 31.1
- 41.20°, I 39.9
- 41.47°, I 16.3
- 42.36°, I 48.1
- 42.56°, I 100.0
- 45.95°, I 38.0
- 63.40°, I 20.5
- 68.48°, I 20.0
- 75.44°, I 20.3

Structure:
```
LaCo5
1.0
2.5355 -4.3547 0.0000
2.5355 4.3547 0.0000
0.0000 0.0000 7.9006
La Co
2 10
direct
0.0000 0.0000 0.0000
0.0000 0.0000 0.5000
0.0000 0.5000 0.2603
0.0000 0.5000 0.7397
0.3055 0.6292 0.0000
0.3708 0.6945 0.5000
0.5000 0.0000 0.2397
0.5000 0.0000 0.7603
0.5000 0.5000 0.2500
0.5000 0.5000 0.7500
0.6292 0.3055 0.5000
0.6945 0.3708 0.0000
```

=====

# 2
For GaS, a DFT-relaxed cell (PBE, the Materials Project) gives the simulated X-ray diffraction stick pattern in this record (λ = 1.5418 Å (Cu Kα)).
Peak positions follow from Bragg's law for the DFT cell and can differ from measured ones.

The 10 most intense peaks (10 to 80 degrees two-theta), by angle:
- 10.15°, I 100.0
- 20.39°, I 30.0
- 28.42°, I 45.0
- 28.88°, I 42.3
- 30.25°, I 12.1
- 30.79°, I 12.9
- 32.40°, I 31.9
- 46.55°, I 61.7
- 50.32°, I 34.1
- 70.96°, I 16.6

Structure:
```
GaS
1.0
3.6269 0.0000 0.0000
-1.8135 3.1410 0.0000
0.0000 0.0000 17.4253
Ga S
4 4
direct
0.3333 0.6667 0.1791
0.3333 0.6667 0.3209
0.6667 0.3333 0.6791
0.6667 0.3333 0.8209
0.3333 0.6667 0.6168
0.3333 0.6667 0.8832
0.6667 0.3333 0.1168
0.6667 0.3333 0.3832
```

=====

Q: Number 1 is which compound?
A: LaCo5

=====

Starting from the GGA-PBE geometry in the Materials Project, the powder diffraction line list of Al2FeN3 was calculated for λ = 1.5418 Å (Cu Kα).
Intensities are scaled so that the largest is 100.

Structural model:
abc: 5.493 5.493 5.090
angles: 90.00 90.00 60.04
Fractional positions:
Al (0.003, 0.332, 0.000)
Al (0.332, 0.003, 0.500)
Al (0.668, 0.997, 0.000)
Al (0.997, 0.668, 0.500)
Fe (0.331, 0.669, 0.005)
Fe (0.669, 0.331, 0.505)
N (0.012, 0.334, 0.625)
N (0.319, 0.681, 0.610)
N (0.334, 0.012, 0.125)
N (0.666, 0.988, 0.625)
N (0.681, 0.319, 0.110)
N (0.988, 0.666, 0.125)

Top 6 peaks for 2θ from 5° to 70°, sorted by position:
2θ/deg, I (rel.)
32.60, 75
35.27, 51